Vietnamese workers promote unity, creativity, development

(VOVWORLD) - The working class and working people worldwide celebrate the 135th anniversary of International Labor Day (May 1, 1886 – May 1, 2021). In Vietnam the working class is the pioneering force of the revolution, which plays a central role in national political events. To mark International Labor Day, Vietnam has launched many campaigns to take care of workers and build a strong working class.
Vietnamese workers promote unity, creativity, development - ảnh 1A poster of International Labor Day, May 1

The working class accounts for 14% of Vietnam’s population and 27% of social workforce. But they contribute more than 65% of annual GDP and 70% of state budget.

Inspiring the power of the working class in national development

The Month for Workers, initiated by the Vietnam General Confederation of Labor, is a key event this year with the motto “Unity, Creativity, Overcoming Difficulties, Development.” The campaign underscores the role of workers in national development and calls on Trade Unions to play their part in taking care of working people’s lives and protecting their rights.

Tran Thanh Hai, Vice President of the Vietnam General Confederation of Labor, said, “The ideology of unity and the role of the working class in each national historical period is to make Vietnam rise high. The Month for Workers underscores unity of the working class, which was first mentioned by President Ho Chi Minh on the International Labor Day in 1946. It’s an overarching task that Vietnam’s Trade Union has always remembered and fulfilled.”

In the renewal process, the Communist Party of Vietnam has identified that the working class is a representative of advanced production methods and a vanguard force in industrialization, modernization, and international integration. The working class’s creativity, innovation, and scientific and technological application in production and trade have pushed development in all sectors.

~~~
Compound: Na2GeI5
Source: Alexandria
Functional: PBE
Structure: relaxed

a b c (Å): 8.2770 8.2770 14.2138
angles (deg): 90.00 90.00 136.26
Element x y z (fractional)
Na1 0.1777 0.8223 0.5708
Na2 0.1777 0.8223 0.9292
Na3 0.8223 0.1777 0.0708
Na4 0.8223 0.1777 0.4292
Ge1 0.1774 0.8226 0.2500
Ge2 0.8226 0.1774 0.7500
I1 0.0517 0.9483 0.1059
I2 0.0517 0.9483 0.3941
I3 0.3062 0.6938 0.7500
I4 0.3169 0.6831 0.1057
I5 0.3169 0.6831 0.3943
I6 0.6831 0.3169 0.6057
I7 0.6831 0.3169 0.8943
I8 0.6938 0.3062 0.2500
I9 0.9483 0.0517 0.6059
I10 0.9483 0.0517 0.8941

Calculated values
DFT total energy = -2.541 eV/atom
Formation energy from raw total energies = -0.6655 eV/atom
Density of states at the Fermi level = 0.39 states/eV/atom
Calculated volume = 42.078 Å³ per atom

~~~~~

## ScTeSe2 (PBE)

Data for a relaxed ScTeSe2 crystal.

Calculated values
**Magnetic moment**: 0.00 μB per formula unit
**Volume**: 96.6 Å³ per cell

Cell: 3.976 4.941 5.292 Å, 90.00 111.59 90.00°
Fractional positions:
Sc1 0.000 0.000 0.000
Te1 0.394 0.500 0.785
Se1 0.117 0.500 0.234
Se2 0.700 0.000 0.401


## ScTeSe (PBE)

Data for a relaxed ScTeSe crystal.

Calculated values
**Magnetic moment**: 0.00 μB per formula unit
**Volume**: 75.1 Å³ per cell
**Energy above the most stable polymorph in this dataset**: 0.3605 eV/atom

Cell: 4.584 4.584 4.127 Å, 90.00 90.00 120.00°
Fractional positions:
Sc1 0.000 0.000 0.000
Te1 0.667 0.333 0.500
Se1 0.333 0.667 0.000


## ScTeSe3 (PBE)

Data for a relaxed ScTeSe3 crystal.

Calculated values
**Magnetic moment**: 0.52 μB per formula unit
**Volume**: 147.7 Å³ per cell
**Energy above the most stable polymorph in this dataset**: 0.4254 eV/atom

Cell: 5.286 5.286 5.286 Å, 90.00 90.00 90.00°
Fractional positions:
Sc1 0.000 0.000 0.000
Te1 0.500 0.500 0.500
Se1 0.000 0.500 0.500
Se2 0.500 0.000 0.500
Se3 0.500 0.500 0.000


## ScTe2Se (PBE)

Data for a relaxed ScTe2Se crystal.

Calculated values
**Magnetic moment**: 0.00 μB per formula unit
**Volume**: 128.4 Å³ per cell

Cell: 9.137 9.137 9.137 Å, 25.92 25.92 25.92°
Fractional positions:
Sc1 0.000 0.000 0.000
Te1 0.398 0.398 0.398
Te2 0.602 0.602 0.602
Se1 0.500 0.500 0.500


## ScTe2Se (PBE)

Data for a relaxed ScTe2Se crystal.

Calculated values
**Magnetic moment**: 0.00 μB per formula unit
**Volume**: 273.0 Å³ per cell

Cell: 9.289 9.289 9.289 Å, 144.18 144.18 51.55°
Fractional positions:
Sc1 0.000 0.000 0.000
Sc2 0.750 0.250 0.500
Te1 0.111 0.625 0.986
Te2 0.375 0.361 0.486
Te3 0.639 0.125 0.014
Te4 0.875 0.889 0.514
Se1 0.250 0.750 0.500
Se2 0.500 0.500 0.000


## ScTeSe2 (PBE)

Data for a relaxed ScTeSe2 crystal.

Calculated values
**Magnetic moment**: 0.00 μB per formula unit
**Volume**: 93.7 Å³ per cell

Cell: 3.491 3.491 7.689 Å, 90.00 90.00 90.00°
Fractional positions:
Sc1 0.000 0.000 0.000
Te1 0.000 0.000 0.500
Se1 0.500 0.500 0.176
Se2 0.500 0.500 0.824


Calculated values (states/eV/f.u.) of DOS(E_F) for the records, taken in order: 2.299 2.536 8.267 3.286 3.674 1.955.
~~~

“People work to generate results for themselves and society. We hope all working people will do their jobs in the most effective way to contribute to national development. Creative work has always been encouraged in history. The Month for Workers 2021 will raise creativity to a new level,” said Tran Thanh Hai, Vice President of the Vietnam General Confederation of Labor.

Many businesses, organizations, trade union members, and workers have been severely affected by the COVID-19 pandemic. “Overcoming difficulties” in the Month for Workers means businesses and their employees work together and try for personal happiness, business recovery, and national prosperity.

National campaign

Trade Unions at all levels will carry out 4 programs called 75 thousands innovative ideas to overcome difficulties and develop, Listening, understanding, sharing, Thank you employees, and events to honor employees. 

Vu Thi Giang Huong, acting Director of the Vietnam General Confederation of Labor’s Communications and Education Department, talked about the “75 thousands innovative ideas to overcome difficulties and develop” program. “The program wants to encourage employees’ dynamism, creativity, profession, and patriotism to surmount difficulties caused the COVID-19 pandemic. They and their employers will stand side by side to work for the shared benefit,” said Huong.   

The Communist Party of Vietnam identifies that the development of the working class will ensure the success of the national renewal, industrialization, and modernization.

